
function Start-PodeInternalServer
    param (


        # setup temp drives for internal dirs

        # create the shared runspace state

        # get the server's script and invoke it - to set up routes, timers, middleware, etc
        $_script = $PodeContext.Server.Logic
        if (Test-PodePath -Path $PodeContext.Server.LogicPath -NoStatus) {
            $_script = Convert-PodeFileToScriptBlock -FilePath $PodeContext.Server.LogicPath

        Invoke-PodeScriptBlock -ScriptBlock $_script -NoNewClosure

        # load any modules/snapins

        # load any functions
        Import-PodeFunctionsIntoRunspaceState -ScriptBlock $_script

        # start the runspace pools for web, schedules, etc

        # create timer/schedules for auto-restarting

        if (!$PodeContext.Server.IsServerless -and ($PodeContext.Server.Types.Length -gt 0))
            # start runspace for loggers

Someone pasted records of crystals at this point:
+++
[1]
Here is a relaxed LiMn2B2O6 crystal from Materials Project. Energies are from PBE with a Hubbard U.

Its symmetry is P1 (1). For the MP2020-corrected energy, the calculation gives -8.175 eV/atom. The calculation puts the offset from the most stable computed form at 10 meV/atom. The calculation puts the formation energy at -2.4222 eV/atom.

Cell lengths 5.3495, 10.2721, 13.9320 Å; angles 90.57, 100.87, 91.96 degrees
Atoms (fractional coordinates):
Li (0.1481, 0.0803, 0.0020)
Li (0.4468, 0.6697, 0.6700)
Li (0.4797, 0.1847, 0.6588)
Li (0.8039, 0.6785, 0.3414)
Li (0.7916, 0.1579, 0.3233)
Li (0.8690, 0.4131, 0.0089)
Mn (0.0576, 0.1337, 0.7697)
Mn (0.2968, 0.8768, 0.8745)
Mn (0.0554, 0.3860, 0.4322)
Mn (0.2565, 0.6309, 0.2125)
Mn (0.6210, 0.6320, 0.9076)
Mn (0.3656, 0.1302, 0.4533)
Mn (0.6240, 0.8884, 0.5691)
Mn (0.3995, 0.3674, 0.1172)
Mn (0.7518, 0.3830, 0.7860)
Mn (0.9024, 0.6329, 0.5443)
Mn (0.7103, 0.1164, 0.0994)
Mn (0.9575, 0.8775, 0.2194)
B (0.0504, 0.6292, 0.7729)
B (0.0623, 0.8769, 0.4513)
B (0.2845, 0.3786, 0.8912)
B (0.3730, 0.6385, 0.4424)
B (0.2737, 0.1167, 0.2250)
B (0.6246, 0.1309, 0.8799)
B (0.3955, 0.8735, 0.1045)
B (0.7327, 0.8704, 0.7951)
B (0.6087, 0.3789, 0.5513)
B (0.7405, 0.6220, 0.1262)
B (0.9405, 0.1347, 0.5493)
B (0.9338, 0.3689, 0.2101)
O (0.1257, 0.3408, 0.8032)
O (0.1978, 0.3774, 0.9765)
O (0.2207, 0.6869, 0.8523)
O (0.1039, 0.6286, 0.6820)
O (0.9950, 0.1666, 0.4575)
O (0.1263, 0.1356, 0.6299)
O (0.1180, 0.5970, 0.4421)
O (0.0168, 0.0671, 0.2174)
O (0.3796, 0.0732, 0.8721)
O (0.2951, 0.9463, 0.4738)
O (0.1533, 0.4442, 0.2028)
O (0.5394, 0.4198, 0.8894)
O (0.3022, 0.8179, 0.1840)
O (0.6539, 0.8351, 0.8824)
O (0.2432, 0.8991, 0.0186)
O (0.5777, 0.8462, 0.7076)
O (0.4334, 0.3188, 0.4732)
O (0.5779, 0.3656, 0.6443)
O (0.5259, 0.6730, 0.5344)
O (0.4629, 0.6420, 0.3584)
O (0.3424, 0.1577, 0.1375)
O (0.6787, 0.1900, 0.7935)
O (0.4323, 0.1227, 0.3127)
O (0.8007, 0.1310, 0.9629)
O (0.8193, 0.5728, 0.7925)
O (0.5067, 0.5729, 0.1386)
O (0.6867, 0.0984, 0.5551)
O (0.9700, 0.9328, 0.8020)
O (0.6520, 0.9130, 0.1203)
O (0.8112, 0.4495, 0.5242)
O (0.9683, 0.8212, 0.5306)
O (0.9297, 0.8604, 0.3595)
O (0.7854, 0.3223, 0.1218)
O (0.8701, 0.3382, 0.2961)
O (0.8936, 0.6827, 0.2118)
O (0.8313, 0.6046, 0.0437)


[2]
Here is a relaxed Li2Mn3B3O9 crystal from Materials Project. Energies are from PBE with a Hubbard U.

Its symmetry is P1 (1). For the MP2020-corrected energy, the calculation gives -8.068 eV/atom. The calculation puts the offset from the most stable computed form at 34 meV/atom. The calculation puts the formation energy at -2.4283 eV/atom.

Cell lengths 6.3057, 8.2673, 8.6847 Å; angles 116.71, 110.15, 91.97 degrees
Atoms (fractional coordinates):
Li (0.3693, 0.3032, 0.2802)
Li (0.6038, 0.9819, 0.6914)
Li (0.0786, 0.9801, 0.6915)
Li (0.7810, 0.7201, 0.0224)
Mn (0.1897, 0.0116, 0.3711)
Mn (0.6690, 0.0116, 0.3301)
Mn (0.0159, 0.3819, 0.9940)
Mn (0.5210, 0.3466, 0.0068)
Mn (0.8062, 0.6077, 0.6280)
Mn (0.3266, 0.6513, 0.6867)
+++

            # start runspace for timers

            # start runspace for schedules

            # start runspace for gui

        # start the appropriate server
        $endpoints = @()

        # - service
        if ($PodeContext.Server.IsService) {

        # - serverless
        elseif ($PodeContext.Server.IsServerless) {
            switch ($PodeContext.Server.ServerlessType.ToUpperInvariant())
                'AZUREFUNCTIONS' {
                    Start-PodeAzFuncServer -Data $Request

Unrelated to this text: data records
Record 1
The following is a DFT calculation (PBE-GGA) of a geometry-optimized K3Si structure.

Output
The symmetry is Fm-3m, No. 225. The value obtained for the raw total energy is -7.55 eV/cell. The volume comes out at 155.9 Å³/cell. As for the magnetization: 0.2500 μB per atom. As for the crystal system: cubic.

a b c (Å): 6.0412 6.0412 6.0412
angles (deg): 60.00 60.00 60.00
With the nearest neighbours (Å) after each atom.
Element x y z (fractional)
K: 0.2500 0.2500 0.2500  4 K 3.70, 4 Si 3.70
K: 0.7500 0.7500 0.7500  4 K 3.70, 4 Si 3.70
K: 0.5000 0.5000 0.5000  8 K 3.70
Si: 0.0000 0.0000 0.0000  8 K 3.70

Record 2
The following is a DFT calculation (PBE-GGA) of a geometry-optimized SmInO3 structure.

Output
The symmetry is Pnma, No. 62. The value obtained for the raw total energy is -138.99 eV/cell. The volume comes out at 275.8 Å³/cell. As for the magnetization: 0.0000 μB per atom. As for the crystal system: orthorhombic.

a b c (Å): 5.6230 5.9526 8.2389
angles (deg): 90.00 90.00 90.00
With the nearest neighbours (Å) after each atom.
Element x y z (fractional)
Sm: 0.9796 0.0645 0.2500  4 O 2.30-2.39
Sm: 0.4796 0.4355 0.7500  4 O 2.30-2.39
Sm: 0.5204 0.5645 0.2500  4 O 2.30-2.39
Sm: 0.0204 0.9355 0.7500  4 O 2.30-2.39
In: 0.5000 0.0000 0.0000  6 O 2.17-2.23
In: 0.5000 0.0000 0.5000  6 O 2.17-2.23
In: 0.0000 0.5000 0.0000  6 O 2.17-2.23
In: 0.0000 0.5000 0.5000  6 O 2.17-2.23
O: 0.6347 0.0622 0.7500  2 In 2.23, 2 Sm 2.30-2.39
O: 0.1874 0.1905 0.5684  2 In 2.17-2.20, 1 Sm 2.33
O: 0.1874 0.1905 0.9316  2 In 2.17-2.20, 1 Sm 2.33
O: 0.6874 0.3095 0.4316  2 In 2.17-2.20, 1 Sm 2.33
O: 0.6874 0.3095 0.0684  2 In 2.17-2.20, 1 Sm 2.33
O: 0.1347 0.4378 0.2500  2 In 2.23, 2 Sm 2.30-2.39
O: 0.8653 0.5622 0.7500  2 In 2.23, 2 Sm 2.30-2.39
O: 0.3126 0.6905 0.9316  2 In 2.17-2.20, 1 Sm 2.33
O: 0.3126 0.6905 0.5684  2 In 2.17-2.20, 1 Sm 2.33
O: 0.8126 0.8095 0.0684  2 In 2.17-2.20, 1 Sm 2.33
O: 0.8126 0.8095 0.4316  2 In 2.17-2.20, 1 Sm 2.33
O: 0.3653 0.9378 0.2500  2 In 2.23, 2 Sm 2.30-2.39

Record 3
The following is a DFT calculation (PBE-GGA) of a geometry-optimized MnBiS2Br structure.

Output
The symmetry is C2/m, No. 12. The value obtained for the raw total energy is -51.31 eV/cell. The volume comes out at 239.8 Å³/cell. As for the magnetization: 1.0001 μB per atom. As for the crystal system: monoclinic.

a b c (Å): 3.9435 6.6818 9.5284
angles (deg): 91.43 90.00 107.16
With the nearest neighbours (Å) after each atom.
Element x y z (fractional)
Mn: 0.5000 0.0000 0.0000  6 S 2.53-2.67
Mn: 0.5000 0.0000 0.5000  2 S 2.57, 4 Br 2.70
Bi: 0.2145 0.4291 0.8031  3 S 2.61-2.72
Bi: 0.7855 0.5709 0.1969  3 S 2.61-2.72
S: 0.1360 0.2721 0.0535  1 Bi 2.61, 2 Mn 2.67
S: 0.5713 0.1426 0.7547  2 Mn 2.53-2.57, 2 Bi 2.72
S: 0.8640 0.7279 0.9465  1 Bi 2.61, 2 Mn 2.67
S: 0.4287 0.8574 0.2453  2 Mn 2.53-2.57, 2 Bi 2.72
Br: 0.1343 0.2685 0.4340  2 Mn 2.70
Br: 0.8657 0.7315 0.5660  2 Mn 2.70

Record 4

                'AWSLAMBDA' {
                    Start-PodeAwsLambdaServer -Data $Request

        # - normal
        else {
            foreach ($_type in $PodeContext.Server.Types) {
                switch ($_type.ToUpperInvariant())
                    'SMTP' {
                        $endpoints += (Start-PodeSmtpServer)

                    'TCP' {
                        $endpoints += (Start-PodeTcpServer)

                    'HTTP' {
                        $endpoints += (Start-PodeWebServer -Browse:$Browse)

                    'WS' {
                        $endpoints += (Start-PodeSignalServer)

        # set the start time of the server (start and after restart)
        $PodeContext.Metrics.Server.StartTime = [datetime]::UtcNow

        # state what endpoints are being listened on
        if ($endpoints.Length -gt 0) {
            Write-PodeHost "Listening on the following $($endpoints.Length) endpoint(s) [$($PodeContext.Threads.General) thread(s)]:" -ForegroundColor Yellow
            $endpoints | ForEach-Object {
                Write-PodeHost "`t- $($_)" -ForegroundColor Yellow
    catch {
        throw $_.Exception

function Restart-PodeInternalServer
        # inform restart
        Write-PodeHost 'Restarting server...' -NoNewline -ForegroundColor Cyan

        # cancel the session token

        # close all current runspaces
        Close-PodeRunspaces -ClosePool

        # remove all of the pode temp drives

        # clear up timers, schedules and loggers
        $PodeContext.Server.Routes.Keys.Clone() | ForEach-Object {

Inserted here: data records:
........
No. 1
CdSnTe2 | PBE | relaxed

Cell lengths 7.564, 7.564, 7.564 Å; angles 34.48, 34.48, 34.48 degrees
Fractional positions:
Sn 0.500 0.500 0.500
Te 0.254 0.254 0.254
Te 0.746 0.746 0.746
Cd 0.000 0.000 0.000

Output
E_form = -0.48 eV per atom

No. 2
Sr5Cd3 | PBE | relaxed

Cell lengths 10.422, 10.422, 10.422 Å; angles 130.88, 130.88, 72.00 degrees
Fractional positions:
Sr 0.521 0.684 0.500
Sr 0.479 0.316 0.500
Sr 0.684 0.184 0.163
Sr 0.021 0.521 0.837
Sr 0.316 0.816 0.837
Sr 0.184 0.021 0.500
Sr 0.500 0.500 0.000
Sr 0.979 0.479 0.163
Sr 0.000 0.000 0.000
Sr 0.816 0.979 0.500
Cd 0.378 0.878 0.255
Cd 0.878 0.622 0.500
Cd 0.122 0.378 0.500
Cd 0.250 0.250 0.000
Cd 0.750 0.750 0.000
Cd 0.622 0.122 0.745

Output
E_form = -0.25 eV per atom

No. 3
Sr4Cd11 | PBE | relaxed

Cell lengths 7.936, 11.683, 11.683 Å; angles 83.38, 70.15, 70.15 degrees
Fractional positions:
Cd 0.876 0.909 0.623
Cd 0.125 0.750 0.750
Cd 0.000 0.000 0.000
Cd 0.749 0.409 0.877
Cd 0.501 0.091 0.623
Cd 0.841 0.409 0.123
Cd 0.409 0.091 0.377
Cd 0.501 0.623 0.091
Cd 0.374 0.877 0.591
Cd 0.250 0.500 0.500
Cd 0.214 0.909 0.377
Cd 0.125 0.750 0.250
Cd 0.374 0.591 0.877
Cd 0.125 0.250 0.750
Cd 0.749 0.877 0.409
Cd 0.625 0.250 0.250
Cd 0.036 0.123 0.591
Cd 0.036 0.591 0.123
Cd 0.214 0.377 0.909
Cd 0.409 0.377 0.091
Cd 0.841 0.123 0.409
Cd 0.876 0.623 0.909
Sr 0.693 0.864 0.136
Sr 0.807 0.636 0.636
Sr 0.443 0.864 0.864
Sr 0.170 0.136 0.136
Sr 0.080 0.364 0.364
Sr 0.557 0.636 0.364
Sr 0.693 0.136 0.864
Sr 0.557 0.364 0.636

Output
E_form = -0.06 eV per atom

No. 4
SrCd | PBE | relaxed

Cell lengths 4.082, 4.082, 4.082 Å; angles 90.00, 90.00, 90.00 degrees
Fractional positions:
Cd 0.000 0.000 0.000
Sr 0.500 0.500 0.500

Output
E_form = -0.32 eV per atom

No. 5
Sr2TlCd | PBE | relaxed

Cell lengths 5.779, 5.779, 5.779 Å; angles 60.00, 60.00, 60.00 degrees
Fractional positions:
Tl 0.000 0.000 0.000
Sr 0.250 0.250 0.250
Sr 0.750 0.750 0.750
Cd 0.500 0.500 0.500

Output
E_form = -0.39 eV per atom

No. 6
Sr5ZnCd4 | PBE | relaxed

Cell lengths 4.056, 4.056, 20.046 Å; angles 90.00, 90.00, 90.00 degrees
Fractional positions:
Sr 0.500 0.500 0.300
Sr 0.500 0.500 0.904
Sr 0.500 0.500 0.500
Sr 0.500 0.500 0.096
Sr 0.500 0.500 0.700
Cd 0.000 0.000 0.600
Cd 0.000 0.000 0.400
Cd 0.000 0.000 0.200
Cd 0.000 0.000 0.800
Zn 0.000 0.000 0.000

Output
E_form = -0.30 eV per atom


1.
## NaSr3NdTi5O15 (PBE)

Data for an optimized crystal structure of NaSr3NdTi5O15.

Unit cell a=5.515 b=5.515 c=39.560 alpha=90.00 beta=90.00 gamma=90.00
Space group I-42m (No. 121)
Symmetry-distinct sites (fractional):
Na  0.000  0.000  0.201 x4
Sr  0.000  0.000  0.000 x2
Sr  0.000  0.000  0.101 x4
Sr  0.000  0.000  0.399 x4
Sr  0.000  0.000  0.500 x2
Nd  0.000  0.000  0.299 x4
Ti  0.000  0.500  0.050 x8
Ti  0.000  0.500  0.151 x8
Ti  0.000  0.500  0.250 x4
O  0.000  0.500  0.000 x4
O  0.000  0.500  0.101 x8
O  0.000  0.500  0.201 x8
O  0.202  0.202  0.748 x8
O  0.210  0.210  0.348 x8
O  0.221  0.221  0.151 x8
O  0.227  0.227  0.550 x8
........

        $PodeContext.Server.Handlers.Keys.Clone() | ForEach-Object {


        # auto-importers
        $PodeContext.Server.AutoImport.Modules.ExportList = @()
        $PodeContext.Server.AutoImport.Snapins.ExportList = @()
        $PodeContext.Server.AutoImport.Functions.ExportList = @()

        # clear middle/endware
        $PodeContext.Server.Middleware = @()
        $PodeContext.Server.Endware = @()

        # clear misc

        # clear endpoints

        # clear openapi
        $PodeContext.Server.OpenAPI = Get-PodeOABaseObject

        # clear the sockets
        $PodeContext.Server.WebSockets.Listener = $null
        $PodeContext.Listeners = @()

        # set view engine back to default
        $PodeContext.Server.ViewEngine = @{
            Type = 'html'
            Extension = 'html'
            ScriptBlock = $null
            UsingVariables = $null
            IsDynamic = $false

        # clear up cookie sessions

        # clear up authentication methods

        # clear up shared state

        # reset type if smtp/tcp
        $PodeContext.Server.Types = @()

        # recreate the session tokens
        Close-PodeDisposable -Disposable $PodeContext.Tokens.Cancellation
        $PodeContext.Tokens.Cancellation = New-Object System.Threading.CancellationTokenSource

        Close-PodeDisposable -Disposable $PodeContext.Tokens.Restart
        $PodeContext.Tokens.Restart = New-Object System.Threading.CancellationTokenSource

        # reload the configuration
        $PodeContext.Server.Configuration = Open-PodeConfiguration -Context $PodeContext

        Write-PodeHost " Done" -ForegroundColor Green

        # restart the server
    catch {
        $_ | Write-PodeErrorLog
        throw $_.Exception